Hiding uncomfortable feelings from ourselves or others perpetuates them.

Find a way to be yourself – don’t waste energy putting up a front. At moments of crisis or exhaustion pretence breaks down and overwhelming feelings take over. Sometimes in dramatic and unexpected ways.

whatever works
Notice when you feel good. Listening to music, walking among trees, chatting or whatever. Here are suggestions that people have found useful to reduce stress or get through a crisis.

What situations, memories, people, plac­es, anniversaries, sensations or times of day trigger a stress reaction? Being aware of the triggers and the first signs of stress avoids stressing over and over again. How we respond to each moment determines the next moment.

Being aware of stress is often enough to begin unwinding. What is the tiniest detectable feeling of stress or tension? Perhaps on hearing something, walking into a room, looking for something, opening a letter or performing a movement.

Where is this feeling? Tension is hard-wired to be felt in the face, stomach and across the back of shoulders and back of the neck (hackles rising). The way we walk, stand or sit changes as we tense up. Our voice changes.

What does it feel like? Where does it spread.

What is the feeling on awakening? If we still feel stressed after plenty of sleep then something must be unresolved.

clear work and living space
Reduce negative influences. Transcend family tensions. Look for friends and workmates with compatible values and expectations.

Home and work-space layout not only channel movement but also shape habits of thinking. Obstructed pathways and lines of sight, unstable furniture and inefficient access to tools and utensils not only make movement more difficult but can also perpetuate confusion or restrict thinking.

Reducing toxic pollutants helps. For example an efficient vacuum cleaner or air cleaner removes fine particles and microorganisms that otherwise get breathed in. Indoor plants improve the atmosphere. Keeping clear of strong sources of electromagnetic radiation reduces risk of illness and feels better.

Air pressure reduces in closed houses with open chimneys and builds up in closed cars traveling with intake vents open.

Colour corrected lighting is closer to the sun’s illumination we evolved to live in. Seeing is less strained. The body more relaxed.

Let go of unnecessary tasks. High expectations of ourselves and others can be stressful. Avoid over work. Prioritise and delegate. Learn to say no. And to say yes to positive opportunities.

positive thinking
While one person finds traffic hold-ups aggravating and worries about being late someone else might find them relaxing and accept the uncertainties with cheerful resignation.

**These data records were left in the page by mistake**
+++
# Al3TcRh, PBEsol geometry, DFT SCAN
data_Al3TcRh
_chemical_formula_sum 'Al3 Tc1 Rh1'
_space_group_name_H-M_alt 'P m -3 m'
_space_group_IT_number 221
_space_group_name_Hall '-P 4 2 3'
_cell_length_a 4.493
_cell_length_b 4.493
_cell_length_c 4.493
_cell_angle_alpha 90.00
_cell_angle_beta 90.00
_cell_angle_gamma 90.00
loop_
_atom_site_label
_atom_site_type_symbol
_atom_site_fract_x
_atom_site_fract_y
_atom_site_fract_z
_atom_site_occupancy
Al1 Al 0.000 0.000 0.500 1
Tc1 Tc 0.500 0.500 0.500 1
Rh1 Rh 0.000 0.000 0.000 1
# E = -18.1231 eV/atom
# Crystal system = cubic
# Formation energy from the elements = 294 meV per atom
# Calculated density = 5.2 Mg/m³



# AlTc2Rh, PBEsol geometry, DFT SCAN
data_AlTc2Rh
_chemical_formula_sum 'Al2 Tc4 Rh2'
_space_group_name_H-M_alt 'I m m 2'
_space_group_IT_number 44
_cell_length_a 2.953
_cell_length_b 4.378
_cell_length_c 8.462
_cell_angle_alpha 90.00
_cell_angle_beta 90.00
_cell_angle_gamma 90.00
loop_
_space_group_symop_operation_xyz
'x,y,z'
'-x,-y,z'
'-x,y,z'
'x,-y,z'
'x+1/2,y+1/2,z+1/2'
'-x+1/2,-y+1/2,z+1/2'
'-x+1/2,y+1/2,z+1/2'
'x+1/2,-y+1/2,z+1/2'
loop_
_atom_site_label
_atom_site_type_symbol
_atom_site_fract_x
_atom_site_fract_y
_atom_site_fract_z
_atom_site_occupancy
Al1 Al 0.000 0.000 0.000 1
Tc1 Tc 0.000 0.000 0.497 1
Tc2 Tc 0.000 0.500 0.746 1
Rh1 Rh 0.000 0.500 0.265 1
# E = -28.2206 eV/atom
# Crystal system = orthorhombic
# Formation energy from the elements = -310 meV per atom
# Calculated density = 9.9 Mg/m³



# AlTc2Rh, PBEsol geometry, DFT SCAN
data_AlTc2Rh
_chemical_formula_sum 'Al2 Tc4 Rh2'
_space_group_name_H-M_alt 'I 4/m m m'
_space_group_IT_number 139
_space_group_name_Hall '-I 4 2'
_cell_length_a 3.637
_cell_length_b 3.637
_cell_length_c 8.323
_cell_angle_alpha 90.00
_cell_angle_beta 90.00
_cell_angle_gamma 90.00
loop_
_atom_site_label
_atom_site_type_symbol
_atom_site_fract_x
_atom_site_fract_y
_atom_site_fract_z
_atom_site_occupancy
Al1 Al 0.000 0.000 0.000 1
Tc1 Tc 0.000 0.500 0.250 1
Rh1 Rh 0.000 0.000 0.500 1
# E = -28.2831 eV/atom
# Crystal system = tetragonal
# Formation energy from the elements = -372 meV per atom
# Calculated density = 9.8 Mg/m³



# Al2TeRh, PBEsol geometry, DFT SCAN
data_Al2TeRh
_chemical_formula_sum 'Al2 Te1 Rh1'
_space_group_name_H-M_alt 'P m m m'
_space_group_IT_number 47
_cell_length_a 3.870
_cell_length_b 4.191
_cell_length_c 4.275
_cell_angle_alpha 90.00
_cell_angle_beta 90.00
_cell_angle_gamma 90.00
loop_
_space_group_symop_operation_xyz
'x,y,z'
'-x,-y,-z'
'-x,-y,z'
'x,y,-z'
'x,-y,-z'
'-x,y,z'
'-x,y,-z'
'x,-y,z'
loop_
_atom_site_label
_atom_site_type_symbol
_atom_site_fract_x
_atom_site_fract_y
_atom_site_fract_z
_atom_site_occupancy
Al1 Al 0.000 0.000 0.000 1
Al2 Al 0.500 0.500 0.000 1
Te1 Te 0.000 0.500 0.500 1
Rh1 Rh 0.500 0.000 0.500 1
# E = -21.6277 eV/atom
# Crystal system = orthorhombic
# Calculated density = 6.8 Mg/m³



# Ti8Al15Rh7, PBEsol geometry, DFT SCAN
data_Ti8Al15Rh7
_chemical_formula_sum 'Ti16 Al30 Rh14'
+++
**The data records stop here**

Positive thoughts may help endure a crisis and emerge in good shape until a resolution is found.

  • Consider alternative responses and then try them out.

  • Focus on achieving aims rather than on fears and obstacles.

**Calculated crystals that have nothing to do with the entry:**
/*
Entry 1:
4
Lattice="1.528 0.882 7.990 -1.528 0.882 7.990 0.000 -1.765 7.990" Properties=species:S:1:pos:R:3 comment="LiCoAs2 | the Alexandria database | PBE | relaxed" formation_enthalpy_0k_ev_per_atom=0.11 n_ef_per_ev_cell=2.06 volume_a3_per_cell=64.7 polymorph_energy_ev_per_atom=0.395 pbc="T T T"
Li 0.000 0.000 0.000
Co 0.000 0.000 5.878
As 0.000 0.000 12.438
As 0.000 0.000 18.047

Entry 2:
4
Lattice="2.701 0.000 0.000 0.000 3.780 0.000 0.000 0.000 6.266" Properties=species:S:1:pos:R:3 comment="LiCoAs2 | the Alexandria database | PBE | relaxed" formation_enthalpy_0k_ev_per_atom=-0.08 n_ef_per_ev_cell=2.73 volume_a3_per_cell=64.0 polymorph_energy_ev_per_atom=0.197 pbc="T T T"
Li 0.000 0.000 0.000
Co 1.351 1.890 4.710
As 0.000 0.000 3.789
As 1.351 1.890 0.841

=====

TaTe2Au: relaxed, GGA-PBEsol.

Unit cell a=3.4062 b=4.6826 c=5.2682 alpha=90.00 beta=90.00 gamma=90.00
Sites, in units of the cell vectors:
*/

  • Promote positive internal chatter.

-- Attached: calculated crystals --
Below is a geometry-optimized Ni2P3O9 structure, with properties calculated at the GGA+U level.

Computed properties:
E	-6.400	eV per atom
N(E_F)	13.921	states/eV/cell
total moment	0.216	μB per atom

Unit cell a=6.3566 b=6.3566 c=9.5896 alpha=90.00 beta=90.00 gamma=120.00
Closest atoms and distances in Å follow each position.
Sites, in units of the cell vectors:
Ni 0.3333 0.6667 0.0000  6 O 2.25
Ni 0.3333 0.6667 0.5000  6 O 2.25
Ni 0.6667 0.3333 0.0000  6 O 2.25
Ni 0.6667 0.3333 0.5000  6 O 2.25
P 0.0000 0.2692 0.2500  4 O 1.51-1.60
P 0.0000 0.7308 0.7500  4 O 1.51-1.60
P 0.2692 0.0000 0.2500  4 O 1.51-1.60
P 0.2692 0.2692 0.7500  4 O 1.51-1.60
P 0.7308 0.0000 0.7500  4 O 1.51-1.60
P 0.7308 0.7308 0.2500  4 O 1.51-1.60
O 0.0000 0.2274 0.7500  2 P 1.60
O 0.0000 0.3877 0.1134  1 P 1.51
O 0.0000 0.3877 0.3866  1 P 1.51
O 0.0000 0.6123 0.6134  1 P 1.51
O 0.0000 0.6123 0.8866  1 P 1.51
O 0.0000 0.7726 0.2500  2 P 1.60
O 0.2274 0.0000 0.7500  2 P 1.60
O 0.2274 0.2274 0.2500  2 P 1.60
O 0.3877 0.0000 0.1134  1 P 1.51
O 0.3877 0.0000 0.3866  1 P 1.51
O 0.3877 0.3877 0.6134  1 P 1.51
O 0.3877 0.3877 0.8866  1 P 1.51
O 0.6123 0.0000 0.6134  1 P 1.51
O 0.6123 0.0000 0.8866  1 P 1.51
O 0.6123 0.6123 0.1134  1 P 1.51
O 0.6123 0.6123 0.3866  1 P 1.51
O 0.7726 0.0000 0.2500  2 P 1.60
O 0.7726 0.7726 0.7500  2 P 1.60
-- Here the entry continues --

  • Maintain self-esteem

Find ways to feel faintly amused or interested in events that otherwise might be stressful

Think about or do something that you are good at and enjoy at moments of stress or worry to head off a self-perpetuating downward spiral of anxiety and self doubt.

living in the present
When we stress we live in unpleasant memories of the past and fears of the future. Physical activity and sensations bring us into the present.

Love defeats stress. Feelings like compassion, gratitude, adoration or loving someone turns of stress mechanisms.

Humour releases taboo topics into consciousness letting us to examine repressed ideas instead of holding them in.

Laughter mobilises the body and activates the pleasure systems. A natural stress release.

Think of a stressful situation or perhaps an unresolved conflict. Is there a way of feeling faintly amused by this. Perhaps the absurdity of it. Or the feeling of powerlessness.

Yawning triggers the resting relaxed state. With practice just imagining yawning is enough to start yawning.

Smell is the most primitive sense experienced directly in lower areas of the brain below the cerebral cortex where final deliberations occur and activities are prioritised. Perfumes can by pass thought to directly trigger emotions that turn off stress.

tune out the chatter
Urban noise like traffic and advertising signs can be stressful and consume energy and attention reducing capacity to evaluate the surroundings and respond to stressors.

A trip to a park opens up the senses to a wider range of smells, sights and sounds.

Plants, trees, birds, animals and micro-organisms in nature are complex, stimulating, refreshing and relaxing to see, smell and touch. We tend to wither away without the complex stimulation in nature that is missing in most urban places.

The higher pitched sounds of birds and wind in the trees stimulate the brain and activate pleasure centres.

Winds carrying positively charged air ions from hot dry treeless environments are enervating and depressing. These winds bring depression and suicide. They are given special names in many countries.

Running water and the sea generate refreshing negative air ions. Negative air ion generators create them artificially but they are oxidising so may need to be used carefully.

mobilising exercise

Some animals shake themselves to reset their emotional systems after escaping a life threatening or stressful experience. Then they may groom themselves before resuming life where they left off. We can shake off our troubles as well.

Vigorous exercise puts an aroused stressed state to work and allows it to run its course.

Get moving and exercising and breathing first thing in the morning on waking with a movement and breathing exercise or perhaps a walk or swim.

write it down
When thoughts about unresolved problems race around and repeat themselves over and over write them down and set a time to came back to them later. Next day after good sleep perhaps.

We don't have to relive events and rehearse ideas if they are written down outside of ourselves and a plan to deal with them is underway. We can return to them when we are calm enough to access decision making parts of the brain and consider them from a broader perspective having seen the writing with our eyes so that another sense is in play together with its own connections with the brain.

In a similar way we can say a problem out loud and listen to it.


Balance play, sleep and work. A holiday, a day away or a change of scenery away from from routines may be enough to put life into perspective and re-orientate. Successful managers commit to their work but also to other things. Take time out for diversion leisure.

  • relaxation or breathing exercise

  • meditate

  • walk alone or in a walking group with friends.

  • ring a friend or relative

  • drink of water

  • warm bath

  • activity or hobby - learn an absorbing new skill

  • inspiring books

  • colours, perfumes, music


  • set aside time for dealing with difficulties – come back to them later.

  • Find realistic, exciting and satisfying goals. What do I really want?

  • List the big and small things that would start this off.

  • Act immediately

  • Commit totally and publicly.

  • Recruit others to help

  • Plan plenty of time without rushing.

  • One step at a time – one day at a time.

  • What thoughts, beliefs, reasons, rationalisations are holding me back?

  • Persist regardless of setbacks and losses. prioritise
    Work out the order of importance of things to do and give priority to things at the top of the list. Maybe some things aren't really important and don't have to be done yet or ever.

The awareness therapy pages describe a safe space to regain confidence and build a new life using one’s own skill and knowledge.

relaxation exercises
It is almost impossible to remain stressed, anxious or depressed if the body is flexible and aware.

Dance, stretch, sport, callisthenics, or movement exercises release tense muscles and bring us out of preoccupations with the past and future into the reality of the physical body and the present where we can put our hopes and fears into perspective and not be overwhelmed by them.

The exercises on the side-menu and the body and mind pages show ways to de-stress. Aim for steady progress rather than immediate perfection. Stressful situations become gradually easier and easier to manage.